Michael Grose: Parent Insights

Refining your parenting style

Someone pasted data records at this point >
=====
Record 1
The following is a DFT calculation (GGA-PBE) of a relaxed structure of TiIrO4.

a b c (Å): 6.598 6.598 6.030
angles (deg): 90.00 90.00 90.00
Space group I4_1md (No. 109)
Inequivalent atoms, fractional coordinates:
Ti  0.000  0.000  0.000 (multiplicity 4)
Ir  0.000  0.000  0.491 (multiplicity 4)
O  0.000  0.199  0.234 (multiplicity 8)
O  0.000  0.200  0.748 (multiplicity 8)

The density comes out at 7.7 g cm⁻³. The formation energy from raw total energies comes out at -1.83 eV per atom. The value obtained for the total energy is -7.930 eV/atom. For the density of states at the Fermi level, the calculation gives 12.693 states/eV per cell. As for the crystal system: tetragonal.

Record 2
The following is a DFT calculation (GGA-PBE) of a relaxed structure of TiIrO3.

a b c (Å): 3.838 3.838 3.838
angles (deg): 90.00 90.00 90.00
Space group Pm-3m (No. 221)
Inequivalent atoms, fractional coordinates:
Ti  0.000  0.000  0.000 (multiplicity 1)
Ir  0.500  0.500  0.500 (multiplicity 1)
O  0.000  0.000  0.500 (multiplicity 3)

The density comes out at 8.5 g cm⁻³. The formation energy from raw total energies comes out at -0.93 eV per atom. The value obtained for the total energy is -7.260 eV/atom. For the density of states at the Fermi level, the calculation gives 3.167 states/eV per cell. As for the crystal system: cubic.

Question: What is the formula in the second record?
Answer: TiIrO3


[1]
The following is a DFT calculation (PBE) of a relaxed structure of Ca2LaBe2.

Cell lengths 5.211, 5.211, 6.293 Å; angles 65.54, 65.54, 90.00 degrees
Atoms (fractional coordinates):
Be (0.750, 0.250, 0.500)
Be (0.250, 0.750, 0.500)
Ca (0.343, 0.343, 0.314)
Ca (0.657, 0.657, 0.686)
La (0.000, 0.000, 0.000)

offset from the most stable computed form	0.98	eV per formula unit
mass density	2.84	g cm⁻³
DFT formation energy	0.601	eV/atom
density of states at the Fermi level	1.3041	states/eV/atom
spin magnetization	0.00	μB/cell

[2]
The following is a DFT calculation (PBE) of a relaxed structure of K2LaSe2.

Cell lengths 8.509, 8.509, 8.509 Å; angles 150.95, 150.95, 41.55 degrees
Atoms (fractional coordinates):
K (0.250, 0.750, 0.500)
K (0.750, 0.250, 0.500)
La (0.000, 0.000, 0.000)
Se (0.602, 0.602, 0.000)
Se (0.398, 0.398, 0.000)

formation energy (no corrections)	-0.951	eV/atom
offset from the most stable computed form	1.43	eV per formula unit
mass density	4.30	g cm⁻³
density of states at the Fermi level	0.4875	states/eV/atom
spin magnetization	0.95	μB/cell

[3]
The following is a DFT calculation (PBE) of a relaxed structure of CeUOs.

Cell lengths 2.807, 4.838, 4.838 Å; angles 120.00, 90.00, 90.00 degrees
Atoms (fractional coordinates):
Os (0.911, 0.000, 0.000)
U (0.551, 0.667, 0.333)
Ce (0.538, 0.333, 0.667)

offset from the most stable computed form	0.28	eV per formula unit
mass density	16.59	g cm⁻³
DFT formation energy	-0.021	eV/atom
density of states at the Fermi level	1.7993	states/eV/atom
spin magnetization	0.00	μB/cell

[4]
=====

Kids benefit from a mixture of two parenting approaches. On the one hand, they benefit from an approach that provides nurturance, builds strong relationships and offers strong emotional support. They also need a style that sets behavioural boundaries, challenges them to face their fears and promotes independence from an early age.


This combination of nurturance and firmness is known as an authoritative style according to the work of researcher Diane Baumrind who studied parenting styles in Western countries.  A purely nurturant style is known as a permissive style, while a singularly firm style is known as authoritarian.


When discussing the authoritative approach, it’s easiest to use a dog and cat metaphor. If you have a dog, you’ll know it’s usually friendly and wants to show love, affection and attention. The ‘dog’ style of parenting is relational, empathetic and warm. Cats, on the other hand, are different. They are usually self-sufficient and generally able to live quite happily without you. To develop the metaphor, a ‘cat’ style of parent is more able to set limits, more likely to challenge kids and encourage them to become self-sufficient. They can separate themselves from their kids, step back and not allow emotions to rule decision-making.

Warm cat, firm dog

Which of these two styles do you identify with? If you defer to one, then you may have to work a little harder on more consciously to bring the other to the table. In reality, many parents working in a partnership with each other will share the dog-cat loads, just as they sometimes play good cop, bad cop when they are less than perfect. Sole parents need to be firm cat and nurturant dog all in one package, which is challenging as we tend to default to one style over the other.

Don’t mix the two approaches up

Get your cat and dog wrong and you’ll be ineffective. If your first approach when a child is anxious is to be distant and unapproachable, then you’re not meeting your child’s emotional needs. If you meet poor behaviour with a friendly smile or an indecisive manner, then you will not be providing your child with the guidance they require. Get your response right – meet anxiety with dog-like warmth and poor behaviour with cat-like firmness – and you are giving your kids what’s required in each situation.

Keep the approaches separate

A common mistake is the failure of adults to separate the two approaches. Imagine your son coming home from school very upset. You are not sure what’s wrong, but you keep an eye out just the same. The next minute he hurls an insult at his younger sister, causing her to come to you for support. You remonstrate with your son, then sympathetically ask what’s troubling him. Most likely you’ll get a confused response from your son, as you’ve mixed management – a cat-like behaviour – with counselling – a dog-like trait. It’s best to keep the two approaches separate.


In this example, it would be better for you to remonstrate with your son about his behaviour and perhaps send him to his room. Then, when things have calmed down, speak to him quietly about any problems or worries that he may have. This separation will ensure that the firmness of the cat is effective and then gives some time and a different space for the more dog-like approach to work its magic.


The cat-dog framework is a practical way to ensure that your child receives the type of parenting they need to suit different situations.